The accordion is a wonderfully versatile musical instrument. It is
used in nearly all types of music, from the obvious polka to zydeco to
jazz and even rock. Two great examples of the latter are They Might Be Giants and "Weird Al" Yankovic.
The accordion is a reed instrument, and consists of two halves,
seperated by a bellows, like so:
• What comes next are records of crystals, not part of the page:
┌──
1.
The following is a DFT calculation (PBE with a Hubbard U) of a relaxed LiFeP3H2O10 crystal.

```
68
Lattice="8.597 0.000 0.000 0.000 11.433 0.000 -4.145 0.000 8.568" Properties=species:S:1:pos:R:3 pbc="T T T"
Li 0.411 1.731 0.705
Li -1.661 3.985 4.989
Li 6.113 7.447 3.579
Li 4.041 9.702 7.863
Fe 0.531 6.929 6.111
Fe 2.603 10.220 1.827
Fe 1.849 1.213 6.741
Fe 3.921 4.504 2.457
P -2.507 6.016 7.026
P -0.435 11.133 2.742
P -1.297 0.338 7.361
P 0.775 5.379 3.077
P 2.249 7.013 1.153
P 0.176 10.136 5.437
P 4.276 1.297 3.131
P 2.203 4.419 7.415
P 3.677 6.054 5.491
P 5.749 11.095 1.207
P 4.887 0.299 5.826
P 6.959 5.417 1.542
H 0.979 1.737 4.141
H -1.093 3.979 8.425
H 3.705 2.638 0.242
H 1.633 3.078 4.526
H 2.819 8.355 4.042
H 0.747 8.794 8.326
H 5.545 7.453 0.143
H 3.473 9.696 4.427
O -2.273 0.963 6.233
O -0.200 4.753 1.949
O -0.340 1.146 2.340
O -2.412 4.570 6.624
O 1.501 6.071 0.056
O -0.572 11.078 4.340
O -1.479 6.982 6.536
O 0.593 10.167 2.252
O 2.013 0.107 0.026
O -0.060 5.610 4.310
O 1.245 6.778 2.429
O -0.827 10.371 6.713
O 2.120 8.438 0.737
O 0.048 8.711 5.021
O 1.124 2.326 4.911
O 3.196 3.391 0.627
O -0.114 1.267 7.479
O 1.958 4.449 3.195
O 2.933 0.698 2.824
O 0.861 5.018 7.108
O 3.591 6.415 1.460
O 1.518 10.734 5.744
O 2.494 6.984 5.373
O 4.566 10.165 1.089
O 1.256 8.042 7.941
O 3.328 9.107 3.657
O 4.404 2.722 3.547
O 2.332 2.994 7.831
O 5.279 1.062 1.855
O 3.207 4.654 6.139
O 4.512 5.823 4.258
O 2.439 11.326 8.542
O 3.859 1.266 6.316
O 5.931 4.450 2.032
O 5.024 0.355 4.228
O 2.951 5.361 8.512
O 6.864 6.863 1.944
O 4.792 10.286 6.228
O 4.652 6.679 6.619
O 6.724 10.470 2.335
```

Space-group type: P2_1/c
Electronic total energy in eV per cell: -449.23
E_form in eV/atom: -2.27
Total moment in μB per cell: 16.00

2.
The following is a DFT calculation (PBE with a Hubbard U) of a relaxed LiFePH2O5 crystal.

```
40
Lattice="9.673 0.000 0.000 0.000 7.901 0.000 -0.572 0.000 5.544" Properties=species:S:1:pos:R:3 pbc="T T T"
Li 1.181 0.254 2.488
Li 0.895 3.697 5.260
Li 8.206 4.204 0.284
Li 7.920 7.647 3.056
Fe 4.265 1.548 3.935
Fe 4.551 2.402 1.163
Fe 4.550 5.499 4.381
Fe 4.836 6.353 1.609
P 2.616 4.151 2.871
P 2.903 7.701 0.099
P 6.199 0.200 5.445
P 6.485 3.750 2.673
H 0.441 4.771 1.686
H 0.155 7.081 4.458
H 0.436 5.857 3.483
H 0.723 5.995 0.711
H 8.379 1.907 4.833
H 8.665 2.044 2.061
H 8.946 0.820 1.086
H 8.660 3.131 3.858
O 0.336 5.074 0.743
O 0.050 6.778 3.515
O 1.144 4.302 3.291
O 1.430 7.550 0.519
O 2.473 0.647 4.340
O 2.759 3.303 1.568
O 3.280 5.566 2.685
O 2.994 6.286 5.457
O 3.719 0.437 1.288
O 3.433 3.514 4.060
O 5.668 4.388 1.484
O 5.382 7.464 4.256
O 6.107 1.615 0.088
O 5.821 2.335 2.860
O 6.342 4.598 3.976
O 6.628 7.254 1.204
O 7.671 0.351 5.025
O 7.957 3.600 2.253
O 9.051 1.123 2.029
O 8.765 2.827 4.801
```

Space-group type: P2_1/c
Electronic total energy in eV per cell: -248.30
E_form in eV/atom: -2.04
Energy above the lowest structure with this stoichiometry in eV per atom: 0.0478
Total moment in μB per cell: 16.00

3.
└──
| | | | | | | |
| | | | | | | |
| | | | | | | |
Each side contains a bank of metal reeds. Air is allowed through any
given reed by pressing a key or button which opens a valve covering the
reed. Some accordions have buttons on both sides, these are usually called
concertinas. Sometimes, an accordion will operate like a harmonica in
that one button will produce a different sound when the bellows are
drawn than when they are closed, but most produce the same sound in either
The accordion we will deal with here is the common piano accordion.
The (player's) right side is outfitted with a piano keyboard for
melody, while the left side is outfitted with a large (intimidating for
the beginner) array of buttons for bass and accompaniment. The size of
the array ranges from 6x1 to 20x6, and even larger sizes exist. The smallest
complete size is 12x6, giving 72 buttons. This size is arranged like so:
Db Eb F G A B
| Ab| Bb| C | D | E | F#
Calculated crystals, kept here for reference:
____________
Arrangement i

The following is a PBE with a Hubbard U calculation of a relaxed structure of ZnNiBiO5, from Materials Project.

Calculated values
* total magnetic moment: 0.3750 μB per atom
* crystal system: monoclinic
* calculated density: 6.23 g cm⁻³

abc: 5.3620 10.4585 8.3685
angles: 90.00 110.28 90.00
With the nearest neighbours (Å) after each atom.
Space group P2_1/c (No. 14)
Asymmetric unit:
Zn (0.0303, 0.0913, 0.1728) (multiplicity 4)  5 O 1.99-2.23
Ni (0.3715, 0.6148, 0.0569) (multiplicity 4)  4 O 1.86-1.93
Bi (0.4766, 0.1040, 0.8427) (multiplicity 4)  6 O 2.13-2.20
O (0.1937, 0.5312, 0.1816) (multiplicity 4)  1 Ni 1.86
O (0.2071, 0.7197, 0.4934) (multiplicity 4)  1 Ni 1.93, 1 Zn 2.03, 1 Bi 2.15
O (0.2532, 0.0443, 0.0051) (multiplicity 4)  2 Bi 2.19-2.20, 2 Zn 2.19-2.23
O (0.3206, 0.2071, 0.3104) (multiplicity 4)  1 Ni 1.90, 1 Zn 1.99, 1 Bi 2.13
O (0.3463, 0.5443, 0.8423) (multiplicity 4)  1 Ni 1.90

Arrangement ii

The following is a PBE with a Hubbard U calculation of a relaxed structure of ZnNiBiO5, from Materials Project.

Calculated values
* total magnetic moment: 0.3763 μB per atom
* crystal system: orthorhombic
* calculated density: 6.59 g cm⁻³

abc: 5.2526 15.2389 10.4109
angles: 90.00 90.00 90.00
With the nearest neighbours (Å) after each atom.
Space group Pbca (No. 61)
Asymmetric unit:
Zn (0.0268, 0.0366, 0.1368) (multiplicity 8)  5 O 1.99-2.04
Ni (0.0332, 0.5922, 0.8794) (multiplicity 8)  4 O 1.84-2.01
Bi (0.0474, 0.7354, 0.1440) (multiplicity 8)  6 O 2.15-2.38
O (0.1309, 0.1569, 0.2005) (multiplicity 8)  1 Zn 2.03, 2 Bi 2.15-2.22
O (0.1642, 0.0186, 0.7193) (multiplicity 8)  1 Ni 1.84, 2 Zn 1.99-2.02
O (0.1771, 0.1765, 0.5160) (multiplicity 8)  1 Ni 2.01, 1 Bi 2.23
O (0.2198, 0.6861, 0.7992) (multiplicity 8)  1 Ni 1.93
O (0.2238, 0.0331, 0.9732) (multiplicity 8)  1 Ni 1.84, 2 Zn 1.99-2.04

Taking the most stable structure as the zero point, the relative energies in meV/atom are arrangement i 0; arrangement ii 95.

Arrangement i

The following is a PBE with a Hubbard U calculation of a relaxed structure of V2Bi4O11, from Materials Project.

Calculated values
* total magnetic moment: 0.0000 μB per atom
* crystal system: triclinic
* calculated density: 7.34 g cm⁻³

abc: 5.8158 8.0884 17.0433
angles: 91.09 90.39 109.52
With the nearest neighbours (Å) after each atom.
Space group P1 (No. 1)
Asymmetric unit:
V (0.0000, 0.0000, 0.0000) (multiplicity 1)  4 O 1.72-1.92
V (0.0209, 0.0077, 0.3012) (multiplicity 1)  4 O 1.70-1.79
V (0.1321, 0.9692, 0.6311) (multiplicity 1)  3 O 1.68-1.83
V (0.4521, 0.9744, 0.4982) (multiplicity 1)  4 O 1.71-1.82
V (0.6302, 0.9852, 0.8305) (multiplicity 1)  4 O 1.70-1.79
V (0.6614, 0.0019, 0.1315) (multiplicity 1)  3 O 1.71-1.91
Bi (0.2074, 0.3166, 0.4760) (multiplicity 1)  5 O 2.30-2.48
Bi (0.2962, 0.3350, 0.1468) (multiplicity 1)  6 O 2.31-2.50
Bi (0.3100, 0.3534, 0.8232) (multiplicity 1)  2 O 2.17-2.28
Bi (0.3483, 0.6383, 0.3195) (multiplicity 1)  3 O 2.20-2.32
____________
| | | | | | | | | | | |
B O O O O O O O O O O O O 3rd T
O O O O O O 0 O O O O O O Root O
T O O O O O O O O O O O O Major P
T O O O O O O O O O O O O Minor
O O O O O O O O O O O O O Dominant 7th
M O O O O O O O O O O O O Diminished
Note that the "Root" button in the C
column is usually marked with a
rhinestone, or other finger-aiding device, not unlike those
little marks on computer keyboards.
The root note of each column goes up a perfect fifth in the
upwards direction and down a perfect fifth in the downwards direction. The
"Root" and "3rd" buttons play the root and major third of their
respective columns. The "Major" and "Minor" buttons play major and
minor triads starting on their column's root note. The "Dominant
7th" and "Diminished" buttons each play a diminished triad respectively
starting on the root and major third of their column.
Bigger or smaller accordions will add or remove columns from either
end, and smaller accordions will remove rows in the following order:
Diminished, Dominant 7th, Minor, Major, 3rd.
Note that this configuration allows for a major or minor arpeggio
to be played easily; the three buttons involved are nicely juxtaposed and
readily available right above the major chord button.
Major, minor, and other modal scales can be played with similar ease.
Playing any permutation of the I-IV-V movement is easy, the three columns
involved are are right next to each other.
Aside from pumping the bellows, learning the keys, and mastering the
buttons, the only major accordion technique is what is known as the
bellows shake. This consists of rapidly pumping the bellows in and out
to create a string of stacatto notes, not unlike double tounging used on
brass instruments.
Most modern accordions contain multiple banks of reeds, always on the
right side, often on the left side. Tabs situated on either side above the
keyboard and buttons allow selection of reed banks. Accordions will
usually have from two to four banks of reeds on the right side, and up to
about eight on the left.
The reed banks on the right are classified as either 16', 8', or 4'
(this is the same manner in which organ pipes are classified). 8' is
midrange, 16' is an octave lower and 4' is an octave higher. Accordions
have always one or two 8' reed banks, and usually a 16', 4', or both.
Combinations of these banks are selected by the tabs above the keyboard,
labelled with a symbol denoting which banks they activate:
Here, the two dots in the middle indicate that two 8'
reed banks are
activated. A dot in the top represents the 4'
reed bank, and a dot in the
bottom represents the 16'
reed bank. Most accordions having two 8' banks
will have one
detuned slightly in order to create a
tremolo effect. The
tabs also have names denoting the type of sound which they produce:
Bass Bandon Organ or Full
_____ _____ _____ _____
/_____\ /_____\ /__*__\ /__*__\
|_______| |___*___| |_______| |__*_*__|
\__*__/ \__*__/ \__*__/ \__*__/
Violin or
Clarinet Musette Oboe Piccolo
Records of crystals, kept here for reference:
An optimized crystal structure of Ba9La3Mg5Nb7O36, computed with PBE.

Cell: 5.8165 17.4461 8.2311 Å, 90.00 90.00 90.00°
With the nearest neighbours (Å) after each atom.
Fractional coordinates of all 60 atoms:
1 Ba 0.0000 0.0000 0.0000  12 O 2.88-2.95
2 Ba 0.0000 0.0000 0.4848  12 O 2.87-2.96
3 Ba 0.0000 0.3369 0.4906  12 O 2.85-2.99
4 Ba 0.0000 0.6631 0.4906  12 O 2.85-2.99
5 Ba 0.5000 0.1700 0.4847  12 O 2.88-2.99
6 Ba 0.5000 0.1704 0.9985  12 O 2.84-2.97
7 Ba 0.5000 0.5000 0.9896  12 O 2.87-2.91
8 Ba 0.5000 0.8300 0.4847  12 O 2.88-2.99
9 Ba 0.5000 0.8296 0.9985  12 O 2.84-2.97
10 La 0.0000 0.3346 0.0105  10 O 2.68-2.96
11 La 0.0000 0.6654 0.0105  10 O 2.68-2.96
12 La 0.5000 0.5000 0.4954  12 O 2.78-2.95
13 Mg 0.0000 0.1668 0.2415  6 O 2.11-2.15
14 Mg 0.0000 0.5000 0.2412  6 O 2.07-2.09
15 Mg 0.0000 0.8332 0.2415  6 O 2.11-2.15
16 Mg 0.5000 0.3363 0.7429  6 O 2.06-2.13
17 Mg 0.5000 0.6637 0.7429  6 O 2.06-2.13
18 Nb 0.0000 0.1748 0.7440  4 O 1.93-1.99
19 Nb 0.0000 0.5000 0.7439  6 O 2.00-2.05
20 Nb 0.0000 0.8252 0.7440  4 O 1.93-1.99
21 Nb 0.5000 0.0000 0.2409  6 O 1.99-2.10
22 Nb 0.5000 0.0000 0.7426  6 O 2.02-2.04
23 Nb 0.5000 0.3363 0.2403  6 O 2.00-2.03
24 Nb 0.5000 0.6637 0.2403  6 O 2.00-2.03
25 O 0.0000 0.1655 0.5030  1 Nb 1.99, 1 Mg 2.15
26 O 0.0000 0.1683 0.9848  1 Nb 1.99, 1 Mg 2.11
27 O 0.0000 0.5000 0.4950  1 Nb 2.05, 1 Mg 2.09
28 O 0.0000 0.5000 0.9868  1 Nb 2.00, 1 Mg 2.09
29 O 0.0000 0.8317 0.9848  1 Nb 1.99, 1 Mg 2.11
30 O 0.0000 0.8345 0.5030  1 Nb 1.99, 1 Mg 2.15
31 O 0.2426 0.2504 0.7489  1 Nb 1.93, 1 Mg 2.12
32 O 0.2426 0.7496 0.7489  1 Nb 1.93, 1 Mg 2.12
33 O 0.2458 0.2565 0.2302  1 Nb 2.03, 1 Mg 2.12
34 O 0.2460 0.4190 0.7396  1 Nb 2.01, 1 Mg 2.06
35 O 0.2460 0.5810 0.7396  1 Nb 2.01, 1 Mg 2.06
36 O 0.2458 0.7435 0.2302  1 Nb 2.03, 1 Mg 2.12
37 O 0.2525 0.4162 0.2375  1 Nb 2.00, 1 Mg 2.07
38 O 0.2525 0.5838 0.2375  1 Nb 2.00, 1 Mg 2.07
39 O 0.2550 0.0818 0.7435  2 Nb 2.02-2.20
40 O 0.2550 0.9182 0.7435  2 Nb 2.02-2.20
41 O 0.2590 0.0813 0.2430  1 Nb 1.99, 1 Mg 2.12
42 O 0.2590 0.9187 0.2430  1 Nb 1.99, 1 Mg 2.12
43 O 0.5000 0.0000 0.4957  2 Nb 2.03-2.10
44 O 0.5000 0.0000 0.9902  2 Nb 2.04-2.06
45 O 0.5000 0.3355 0.9953  1 Nb 2.02, 1 Mg 2.08
46 O 0.5000 0.3407 0.4844  1 Nb 2.01, 1 Mg 2.13
47 O 0.5000 0.6593 0.4844  1 Nb 2.01, 1 Mg 2.13
48 O 0.5000 0.6645 0.9953  1 Nb 2.02, 1 Mg 2.08
49 O 0.7410 0.0813 0.2430  1 Nb 1.99, 1 Mg 2.12
50 O 0.7410 0.9187 0.2430  1 Nb 1.99, 1 Mg 2.12
51 O 0.7450 0.0818 0.7435  2 Nb 2.02-2.20
52 O 0.7450 0.9182 0.7435  2 Nb 2.02-2.20
53 O 0.7475 0.4162 0.2375  1 Nb 2.00, 1 Mg 2.07
54 O 0.7475 0.5838 0.2375  1 Nb 2.00, 1 Mg 2.07
55 O 0.7542 0.2565 0.2302  1 Nb 2.03, 1 Mg 2.12
56 O 0.7540 0.4190 0.7396  1 Nb 2.01, 1 Mg 2.06
57 O 0.7540 0.5810 0.7396  1 Nb 2.01, 1 Mg 2.06
58 O 0.7542 0.7435 0.2302  1 Nb 2.03, 1 Mg 2.12
59 O 0.7574 0.2504 0.7489  1 Nb 1.93, 1 Mg 2.12
60 O 0.7574 0.7496 0.7489  1 Nb 1.93, 1 Mg 2.12

**Energy with MP2020 corrections**: -8.11 eV/atom
**Space group**: Pmm2 (25)

---
_____ _____ _____ _____
/_____\ /_____\ /__*__\ /__*__\
|___*___| |__*_*__| |___*___| |_______|
\_____/ \_____/ \_____/ \_____/
Bass (left side) reeds work similarly, although the system is a bit
more complex. One does not switch bass reed banks very often; this is
why many accordions come without switchable banks on this side.
Not all accordions use reeds. Some are fully electronic, operating
not unlike a MIDI keyboard, and not requiring any bellows pumping.
Accordions also come with built-in microphones or can have some added for
playing through an amplifier.
Well, I think that's all I can ramble on about with regards to
accordions. If you are interested in learning how to play, buy a used
accordion (these go from $100 to $1000) and a teach-yourself book
(instructors are hard to come by). If you cannot find any good used
accordions, new ones aren't all that expensive either, ranging from $300 to
$3000 dollars (super-magical five-digit priced models also exist). If you
can find a lesson teacher, good for you, take lessons from him/her!
I hope this answers all the questions you never even thought to ask about
accordions. If you have more, feel free to /msg me.